This question is a bit strange, and I tend to agree with Anna that this is related to thermodynamics. The entropy involved here is an entanglement entropy. Suppose you have system A and system B which form an entanglement. The entanglement entropy of system A is $$ S_A~=~-Tr[\rho_A log\rho_A], $$ which equals the entanglement entropy of system B. If the two systems form a pure state then $S_{A+B}~=~0$. The entanglement entropy comes from the fact you have access to only one part of the density matrix $\rho~=~\rho_A\otimes\rho_B$.
This plays a role in cosmology at large. During inflation the vacuum energy density was huge. The cosmological constant $\Lambda~\simeq~(8\pi G/c^4)\rho$, is very large and drives a rapid exponential expansion of space. There is some theoretical controversy here, but while the energy density of the vacuum was very large, the entropy was not that large. The entropy is a measure of the number, N, of degrees of freedom in a system that are coarse grained into a macrostate $S~=~k log(N)$. The other oddball factor is that while the temperature was high, the entropy was low due to the negative heat capacity of event horizons in spacetime. During inflation the event horizon was smaller than a proton, and the entropy is proportional to the area of the horizon $S~=~k A/4L_p^2$.
Unrelated to this page: quantum chemistry results.
*one*
The ion C4H10NS with charge -1. Source: OMol25; level of theory: ωB97M-V/def2-TZVPD.

E_HOMO: -2.313 eV
Charge: -1
Gap between HOMO and LUMO: 6.0 eV
SMILES string: CCNCC[S-]

Atoms and positions in Å:
C -1.246 2.487 1.010
C -1.209 1.096 1.681
N 0.150 0.587 1.313
C 0.310 0.332 -0.184
C 0.125 -1.233 -0.270
S 1.105 -1.762 -1.856
H -0.395 3.296 1.078
H -1.426 2.241 -0.003
H -2.151 3.113 1.332
H -2.033 0.459 1.350
H -1.311 0.993 2.830
H 0.346 -0.298 1.616
H 1.256 0.676 -0.441
H -0.465 0.874 -0.881
H -0.947 -1.505 -0.296
H 0.526 -1.860 0.497

***

*two*
The ion C4H10NS with charge -1. Source: OMol25; level of theory: ωB97M-V/def2-TZVPD.

E_HOMO: -2.267 eV
Charge: -1
Gap between HOMO and LUMO: 5.9 eV
SMILES string: CCNCC[S-]

Atoms and positions in Å:
C -2.072 -0.400 1.251
C -0.901 0.220 0.504
N 0.330 -0.644 0.524
C 1.580 -0.106 0.006
C 1.440 0.413 -1.511
S 2.927 1.194 -2.196
H -2.044 -1.497 1.104
H -1.898 -0.076 2.288
H -3.124 -0.067 0.862
H -0.633 1.184 0.756
H -1.344 0.442 -0.496
H 0.158 -1.467 -0.134
H 2.430 -0.622 0.382
H 1.533 0.888 0.423
H 0.564 1.028 -1.592
H 1.055 -0.491 -2.170

***

Which of them is the least stable? Correct choice: *one*.

***

*one*
A cluster of 2 separate species, C3H6BrNO2S in total. Source: OMol25; level of theory: ωB97M-V/def2-TZVPD.

E_HOMO (alpha / beta): -10.931 / -8.998 eV
Gap between HOMO and LUMO (alpha / beta): 9.6 / 5.2 eV

Atoms and positions in Å:
C -0.029 -1.632 0.442
C -0.495 -1.489 -0.990
C 0.004 -0.335 -0.225
N 0.138 1.903 1.111
O -0.366 2.053 -1.373
O -2.051 1.019 0.025
S -0.657 1.332 -0.193
Br 3.457 0.392 0.219
H -0.698 -1.636 1.220
H 0.919 -2.246 0.500
H 0.039 -1.893 -1.804
H -1.593 -1.515 -1.193
H 0.884 1.250 1.364
H 0.448 2.799 0.898

***

*two*
A cluster of 2 separate species, C3H6BrNO2S in total. Source: OMol25; level of theory: ωB97M-V/def2-TZVPD.

E_HOMO (alpha / beta): -8.807 / -8.807 eV
Gap between HOMO and LUMO (alpha / beta): 8.3 / 8.3 eV
SMILES string: C/C(Br)=[N+](\[O-])O.C=S

Atoms and positions in Å:
C -1.457 -0.121 -0.588
C -0.085 0.620 -0.670
Br 1.368 -0.145 -1.647
N -0.002 1.856 -0.194
O -0.818 2.384 0.501
O 1.238 2.445 -0.751
H -1.635 -0.694 -1.412
H -1.321 -0.859 0.216
H -2.188 0.719 -0.320
H 1.281 3.362 -0.549
C 0.989 -2.356 1.305
S -0.297 -2.618 2.244
H 0.945 -2.440 0.207
H 1.982 -2.152 1.659

***

Which of them is the least stable? Correct choice: *two*.

***

*one*
A structure of composition C3H4O4. Source: OMol25; level of theory: ωB97M-V/def2-TZVPD.

E_HOMO: -9.919 eV
Gap between HOMO and LUMO: 9.3 eV

Atoms and positions in Å:
C -0.623 -0.235 -1.464
C 0.738 -0.087 0.949
C -0.389 0.897 -0.275
O 0.123 -0.050 2.151
O -0.368 -1.454 -0.985
O 1.932 0.032 0.816
O -0.860 1.938 -0.044
H 0.807 0.096 2.830
H 0.232 -1.200 -0.006
H -1.672 -0.052 -1.737
H 0.080 0.116 -2.234

***

*two*
An isolated molecule of C3H4O4. Source: OMol25; level of theory: ωB97M-V/def2-TZVPD.

E_HOMO: -10.375 eV
Gap between HOMO and LUMO: 9.9 eV
SMILES string: O=C(O)CC(=O)O

Atoms and positions in Å:
The bang came about because the exponential expansion rapidly came to a halt, the cosmological constant dropped to a small value (the vacuum energy dropped enormously) and the cosmological horizon adjusted to a very large value. It is now out about $10^{10}$ light years. This means a relatively small number of degrees of freedom enter into complicated entanglements which are not accessible in a local region. The entanglement entropy increases, and these states appear in a highly thermalized form. This is the bang and fire of the big bang. It is a form of latent heat of fusion in a phase transition. The large vacuum energy $\rho~\simeq~10^{100}GeV^4$ crashed into about 10 GeV^4, and the energy gap assumed the form of a thermalized gas of particles.
Someone pasted records of molecules at this point
No. 1
{"formula": "C3H4N2O", "method": "the ωB97M-V functional and the def2-TZVPD basis", "e_tot_ha": -301.33205, "homo_lumo_gap_ev": 8.108, "homo_energy_ev": -7.805, "e_above_lowest_kcal_mol": 97.4, "species": ["N", "C", "O", "C", "C", "N", "H", "H", "H", "H"], "positions_angstrom": [[0.95, -0.64, -0.23], [0.33, 0.96, 0.73], [0.97, 1.31, 1.63], [-0.85, 0.81, -0.02], [-0.50, -0.95, -0.25], [-1.21, -1.90, -0.32], [1.48, -1.38, 0.22], [1.33, -0.51, -1.17], [-1.76, 1.18, 0.45], [-0.74, 1.12, -1.06]], "nbo_charge": [-0.822, 0.821, -0.432, -0.724, 0.286, -0.481, 0.412, 0.398, 0.271, 0.271]}

No. 2
{"formula": "C3H4N2O", "method": "the ωB97M-V functional and the def2-TZVPD basis", "e_tot_ha": -301.33680, "homo_lumo_gap_ev": 10.219, "homo_energy_ev": -10.512, "e_above_lowest_kcal_mol": 94.4, "species": ["C", "C", "C", "H", "H", "H", "H", "N", "N", "O"], "positions_angstrom": [[0.64, 0.55, 0.87], [-0.83, -0.22, -0.91], [0.06, -1.44, -0.91], [1.34, 1.77, 0.88], [1.46, -0.29, 0.23], [0.27, -0.05, 1.89], [-1.36, 1.36, 0.38], [-0.42, 0.78, -0.09], [0.81, -2.32, -0.83], [-1.97, -0.13, -1.51]], "nbo_charge": [-0.474, 0.564, 0.183, 0.237, 0.240, 0.233, 0.433, -0.614, -0.248, -0.556]}

No. 3
{"formula": "C3H4N2O", "method": "the ωB97M-V functional and the def2-TZVPD basis", "e_tot_ha": -301.38794, "homo_lumo_gap_ev": 8.839, "homo_energy_ev": -8.059, "e_above_lowest_kcal_mol": 62.3, "species": ["N", "C", "N", "C", "C", "O", "H", "H", "H", "H"], "positions_angstrom": [[1.83, 0.12, -0.58], [0.66, 0.21, 0.10], [-0.07, 1.20, 0.35], [-1.33, 0.58, 0.11], [-1.34, -0.75, 0.31], [-0.10, -1.26, 0.44], [2.50, 0.84, -0.34], [2.19, -0.82, -0.61], [-2.11, 1.22, -0.24], [-2.25, -1.35, 0.38]], "nbo_charge": [-0.812, 0.706, -0.496, -0.170, 0.064, -0.530, 0.413, 0.405, 0.213, 0.207]}

No. 4
{"formula": "C3H4N2O", "method": "the ωB97M-V functional and the def2-TZVPD basis", "e_tot_ha": -301.35766, "homo_lumo_gap_ev": 8.999, "homo_energy_ev": -8.534, "e_above_lowest_kcal_mol": 81.3, "species": ["H", "N", "C", "C", "O", "C", "N", "H", "H", "H"], "positions_angstrom": [[-0.36, 0.78, -2.56], [0.04, 0.37, -1.73], [-0.64, 0.63, -0.68], [-0.22, 0.07, 0.60], [-0.82, 0.29, 1.82], [0.83, -0.70, 0.39], [1.83, -1.31, 0.05], [-1.58, 1.18, -0.65], [-1.53, -0.33, 1.98], [2.45, -0.99, 0.79]], "nbo_charge": [0.345, -0.656, 0.096, -0.046, -0.670, 0.480, -0.585, 0.169, 0.480, 0.388]}

No. 5
{"formula": "C3H4N2O", "method": "the ωB97M-V functional and the def2-TZVPD basis", "e_tot_ha": -301.34816, "homo_lumo_gap_ev": 8.362, "homo_energy_ev": -7.858, "e_above_lowest_kcal_mol": 87.3, "species": ["N", "C", "N", "C", "C", "O", "H", "H", "H", "H"], "positions_angstrom": [[1.80, 0.15, -0.37], [0.71, 0.57, 0.21], [-0.09, 1.33, 0.72], [-1.18, 0.55, 0.07], [-1.21, -0.83, 0.26], [-0.19, -1.51, 0.54], [2.40, 0.77, -0.89], [1.93, -0.86, -0.40], [-1.99, 1.15, -0.32], [-2.19, -1.32, 0.17]], "nbo_charge": [-0.782, 0.655, -0.365, -0.334, 0.277, -0.680, 0.419, 0.445, 0.216, 0.148]}

No. 6
The records of molecules stop here
This was the initial generation of a huge amount of entropy in the early universe. Subsequently entropy is in the form of black holes, radiation and so forth. It is interesting to think we can understand this all from the perspective of quantum mechanics. Into the future the universe will end up as a de Sitter vacuum. In the question:
Molecular data from another source follow
Formula: C7H36NO10
Source: OMol25
Level of theory: the ωB97M-V functional and the def2-TZVPD basis

Computed properties:
Gap between HOMO and LUMO   9.4256 eV
E   -1095.15726 a.u.
Highest occupied orbital energy   -11.904 eV
Energy relative to the best compared isomer or geometry (same formula, charge and spin)   49.44 kcal per mole
Net charge   +1

Structure (XYZ):
```
54
Properties=species:S:1:pos:R:3:mulliken_charge:R:1
C 0.06509 -3.78810 0.26537 -0.529
C -0.61520 -3.45469 1.63938 -1.018
C -1.92259 -2.72624 1.29684 -0.587
C -2.07501 -1.23001 1.65426 -0.793
C -2.18083 -0.44059 0.36651 0.080
C -2.79900 0.73634 0.34490 -0.515
C -2.86004 1.56176 -0.92746 -1.120
N 0.84162 -2.53044 -0.04448 0.035
H 0.76949 -4.60290 0.46989 0.388
H -0.55428 -4.11385 -0.56647 0.246
H -0.54439 -4.40909 2.17204 0.405
H -0.08385 -2.65748 2.20040 0.513
H -2.79609 -3.19746 1.80438 0.463
H -2.20063 -2.87628 0.22609 0.434
H -1.26900 -0.75471 2.19061 0.410
H -2.97227 -1.22123 2.31449 0.362
H -1.71904 -0.78213 -0.55315 0.242
H -3.24871 1.28851 1.12773 0.540
H -1.86001 1.66479 -1.30743 0.137
H -3.57284 1.02011 -1.56214 0.344
H -3.20825 2.59999 -0.73437 0.313
H 0.52578 -1.78960 0.63865 0.248
H 1.87956 -2.51612 -0.10522 0.367
H 0.64982 -2.25306 -1.04676 0.136
H 4.20300 1.71391 -0.01790 0.233
H 3.18322 2.89766 0.37046 0.247
O 3.33394 1.94802 0.32149 -0.511
H -1.44441 2.88976 3.90221 0.330
H -2.30735 2.23936 2.86592 0.285
O -1.69093 2.97082 2.97203 -0.569
H 2.65727 1.05055 2.14431 0.402
H 1.93499 2.31191 2.71750 0.405
O 1.98808 1.33873 2.76632 -0.647
H 0.46655 -1.97886 -3.44662 0.281
H -0.36735 -3.30329 -3.35538 0.273
O 0.13256 -2.65650 -2.84162 -0.629
H -0.24921 0.24196 -3.43098 0.351
H -1.80712 -0.23575 -3.52156 0.299
O -0.95896 -0.14287 -3.95190 -0.616
H 3.36887 -1.49676 -2.47707 0.259
H 3.46689 -0.15700 -2.93712 0.270
O 3.07294 -0.62250 -2.18357 -0.495
H 1.16617 2.43982 -2.35489 0.290
H 0.11208 2.07715 -3.57630 0.305
O 0.85417 1.82985 -3.01777 -0.619
H 0.87928 2.38311 -0.31770 0.306
H -0.34934 2.80262 0.46167 0.260
O 0.04504 2.84649 -0.41834 -0.617
H 1.89065 0.25038 1.24484 0.232
H 2.20111 0.43603 -0.11928 0.231
O 2.20971 -0.30721 0.49528 -0.605
H 0.72947 4.23694 2.53838 0.284
H 1.50145 4.50364 1.24990 0.300
O 1.52789 3.96452 2.05363 -0.634
```


Formula: C2H5N3O3
Source: OMol25
Level of theory: the ωB97M-V functional and the def2-TZVPD basis

Computed properties:
Gap between HOMO and LUMO   9.9671 eV
E   -468.95598 a.u.
Highest occupied orbital energy   -9.756 eV
Energy relative to the best compared isomer or geometry (same formula, charge and spin)   153.56 kcal per mole
Net charge   0

Structure (XYZ):
```
13
Properties=species:S:1:pos:R:3:mulliken_charge:R:1
C 0.66566 -0.46190 -1.07617 0.410
C -1.50666 -0.54898 0.34551 0.157
H 1.79924 0.36476 0.65664 0.394
H 2.38388 -0.00502 -1.77114 0.277
H -0.17521 0.89051 0.37111 0.349
H -1.87959 -1.17885 -0.67987 0.261
H -2.49125 1.26983 2.51039 0.437
N 1.64879 0.47280 -1.30056 -0.001
N -0.11290 -0.10428 0.06854 -0.331
de Sitter cosmological limitde Sitter cosmological limit
I indicated how the universe will over a vast period of time will decay from the de Sitter vacuum configuration with a small vacuum energy to a Minkowski spacetime. The horizon will retreat of to “infinity,” which means the entropy becomes infinite. It might be problematic to think of infinite entropy. There might be some sort of cut-off in this process. On the other hand this is just a measure of how the vacuum decays away to zero and there is no energy. The retreat of the cosmological horizon off to infinity is probably a measure of continued quantum entanglement process, which proceeds almost indefnately.